Opening Post Biographies: (active characters) Greg Preston (Preston house) Greg was born in the year 2669. Greg was raised in the Mountain Village “Ent”. He was the son of a restaurant owner, ...
Nicholás will turn 35 this month, the leader of the village security, do a lot of work-out to keep in shape. So far, this relatively young man has shown no romantic interest in anyone.
Danelle will turn 59 this month. The Assembly members have decided to get a Daycare and Kids school. As Danelle Mercier is responsible of Kids Education, she has taken the job. The household got 4500$ from the community to build the center in their home. The institution will open the 1st. of January.
What comes next are materials data, not part of the text >
********
No. 1
! Ti2Ga3 PBE-GGA relaxed; values from VASP
&SYSTEM
  ibrav = 0, nat = 10, ntyp = 2
/
ATOMIC_SPECIES
Ti 47.87 Ti.upf
Ga 69.72 Ga.upf
CELL_PARAMETERS angstrom
6.293 0.000 0.000
0.000 6.293 0.000
0.000 0.000 4.006
ATOMIC_POSITIONS crystal
Ti 0.873 0.696 0.500
Ti 0.304 0.873 0.500
Ti 0.696 0.127 0.500
Ti 0.127 0.304 0.500
Ga 0.604 0.817 0.000
Ga 0.396 0.183 0.000
Ga 0.500 0.500 0.500
Ga 0.817 0.396 0.000
Ga 0.183 0.604 0.000
Ga 0.000 0.000 0.000
! ΔH_f (0 K): -0.46 eV per atom


No. 2
! RbPdBr3 PBE-GGA relaxed; values from VASP
&SYSTEM
  ibrav = 0, nat = 5, ntyp = 3
/
ATOMIC_SPECIES
Br 79.90 Br.upf
Pd 106.42 Pd.upf
Rb 85.47 Rb.upf
CELL_PARAMETERS angstrom
5.296 0.000 0.000
0.000 5.289 0.000
0.000 0.004 5.292
ATOMIC_POSITIONS crystal
Br 0.500 0.985 0.499
Br 0.500 0.489 0.004
Br 0.000 0.487 0.504
Pd 0.500 0.485 0.504
Rb 0.000 0.994 0.999
! ΔH_f (0 K): -1.22 eV per atom
! Corrected total energy (MP2020 scheme): -17.18 eV/cell


No. 3
! LiMg9B20 PBE-GGA relaxed; values from VASP
&SYSTEM
  ibrav = 0, nat = 30, ntyp = 3
/
ATOMIC_SPECIES
B 10.81 B.upf
Mg 24.30 Mg.upf
Li 6.94 Li.upf
CELL_PARAMETERS angstrom
-0.953 2.450 -5.549
-5.071 -4.340 2.348
-1.734 5.894 4.577
ATOMIC_POSITIONS crystal
B 0.165 0.565 0.533
B 0.835 0.234 0.867
B 0.835 0.635 0.068
B 0.335 0.835 0.667
B 0.835 0.034 0.267
B 0.165 0.966 0.733
B 0.835 0.835 0.668
B 0.667 0.766 0.133
B 0.666 0.566 0.533
B 0.334 0.634 0.067
B 0.165 0.365 0.932
B 0.665 0.165 0.333
B 0.334 0.434 0.467
B 0.835 0.435 0.467
B 0.667 0.966 0.734
B 0.333 0.034 0.266
B 0.666 0.366 0.933
B 0.165 0.766 0.133
B 0.333 0.234 0.867
B 0.165 0.165 0.332
Mg 0.500 0.200 0.600
Mg 0.000 0.200 0.602
Mg 0.496 0.397 0.198
Mg 0.500 0.800 0.400
Mg 0.000 0.800 0.398
Mg 0.000 0.397 0.198
Mg 0.504 0.603 0.802
Mg 0.000 0.603 0.802
Mg 0.500 0.000 0.000
Li 0.000 0.000 0.000
! ΔH_f (0 K): -0.12 eV per atom


No. 4
! NaMnBi PBE-GGA relaxed; values from VASP
&SYSTEM
  ibrav = 0, nat = 6, ntyp = 3
/
ATOMIC_SPECIES
Bi 208.98 Bi.upf
Na 22.99 Na.upf
Mn 54.94 Mn.upf
CELL_PARAMETERS angstrom
-2.608 2.527 2.700
-0.707 -3.584 2.671
6.245 1.923 4.233
ATOMIC_POSITIONS crystal
Bi 0.000 0.500 0.225
Bi 0.500 0.000 0.775
Na 0.500 0.000 0.348
Na 0.000 0.500 0.652
Mn 0.500 0.500 0.000
Mn 0.000 0.000 0.000
! ΔH_f (0 K): 0.02 eV per atom


No. 5
! Sr4SeS3 PBE-GGA relaxed; values from VASP
&SYSTEM
  ibrav = 0, nat = 8, ntyp = 3
/
ATOMIC_SPECIES
Sr 87.62 Sr.upf
Se 78.96 Se.upf
S 32.06 S.upf
CELL_PARAMETERS angstrom
-5.405 0.536 5.184
-3.958 -3.547 5.303
4.187 1.659 6.011
ATOMIC_POSITIONS crystal
Sr 0.872 0.872 0.371
Sr 0.374 0.374 0.880
Sr 0.626 0.626 0.120
Sr 0.128 0.128 0.629
Se 0.500 0.500 0.500
S 0.249 0.249 0.250
S 0.000 0.000 0.000
S 0.751 0.751 0.750
! ΔH_f (0 K): -2.31 eV per atom
! Corrected total energy (MP2020 scheme): -41.11 eV/cell


No. 6
! Ce3Si4Ni4 PBE-GGA relaxed; values from VASP
&SYSTEM
  ibrav = 0, nat = 11, ntyp = 3
/
ATOMIC_SPECIES
Ce 140.12 Ce.upf
Ni 58.69 Ni.upf
Si 28.09 Si.upf
CELL_PARAMETERS angstrom
-7.827 1.426 9.139
********
So much for the materials data >
Jane Harper is becoming very attached to her new friend and romance Charles Vaughan. She sometimes just sits outside the trade station, waiting for him to end his shift.
The Mclain’s still got this almost neurotic cooking desire. Coming to the trade station after closing hours to make food for seemingly no good reason. The next morning the place was again a mess. Charles Vaughan was annoyed and sold the fridge, to avoid it happening again.
Mussete Mercier and Anders Karlson continues their romance, seemingly very interested in kissing and flirting all the time. Could Anders be the one that would finally satisfy Mussete and make her settle down?
Simon stone is no longer as isolated as before. His working relations with Charles Vaughan has developed into a strong friendship. And he sometimes visits the fiancé Magdalena Mercier, at her job in the River fashion house. They flirt a little or just hang out together.
Near the middle of the month the delegation from “Ent” arrived, they stayed at the Caravan. At the picture it is Lone St. John coming out, the first morning after their arrival.
Queny Wilson from the “Ent” delegation came to inspect the Mercier household residence, first taking a look at the gardens and chicken farm. Respected in “Ent” from its export of high-quality Egg’s and vegetables.
Someone pasted calculated crystals at this point.
'''
Computed, not measured: a geometry-optimized ZnTe structure at the PBE-GGA level of DFT.

Geometry as CIF:
```
data_ZnTe
_cell_length_a 4.080
_cell_length_b 4.080
_cell_length_c 4.080
_cell_angle_alpha 60.00
_cell_angle_beta 60.00
_cell_angle_gamma 60.00
_symmetry_space_group_name_H-M 'P 1'
_symmetry_Int_Tables_number 1
_symmetry_space_group_name_Hall 'P 1'
loop_
_atom_site_label
_atom_site_fract_x
_atom_site_fract_y
_atom_site_fract_z
Zn1 0.000 0.000 0.000
Te1 0.500 0.500 0.500
```

Summary:
The energy of formation is -0.3956 eV per atom. Its total magnetization is 0.00 Bohr magnetons per cell. As for the space group: Fm-3m. Its uncorrected energy is -2.386 eV/atom.

Computed, not measured: a geometry-optimized BeB12C2 structure at the PBE-GGA level of DFT.

Geometry as CIF:
```
data_BeB12C2
_cell_length_a 5.242
_cell_length_b 5.242
_cell_length_c 5.242
_cell_angle_alpha 64.60
_cell_angle_beta 64.60
_cell_angle_gamma 64.60
_symmetry_space_group_name_H-M 'P 1'
_symmetry_Int_Tables_number 1
_symmetry_space_group_name_Hall 'P 1'
loop_
_atom_site_label
_atom_site_fract_x
_atom_site_fract_y
_atom_site_fract_z
Be1 0.500 0.500 0.500
B1 0.679 0.197 0.197
B2 0.197 0.197 0.679
B3 0.197 0.679 0.197
B4 0.321 0.803 0.803
B5 0.803 0.803 0.321
B6 0.803 0.321 0.803
B7 0.333 0.003 0.003
B8 0.003 0.003 0.333
B9 0.003 0.333 0.003
B10 0.667 0.997 0.997
B11 0.997 0.997 0.667
B12 0.997 0.667 0.997
C1 0.635 0.635 0.635
C2 0.365 0.365 0.365
```

Summary:
The energy of formation is -0.0357 eV per atom. Its total magnetization is 0.00 Bohr magnetons per cell. As for the space group: R-3m. Its uncorrected energy is -6.859 eV/atom.

Computed, not measured: a geometry-optimized Na6Mg5TaP3S6O36 structure at the PBE-GGA level of DFT.

Geometry as CIF:
```
data_Na6Mg5TaP3S6O36
_cell_length_a 8.810
_cell_length_b 8.821
_cell_length_c 22.447
_cell_angle_alpha 89.95
_cell_angle_beta 90.00
_cell_angle_gamma 119.96
_symmetry_space_group_name_H-M 'P 1'
_symmetry_Int_Tables_number 1
_symmetry_space_group_name_Hall 'P 1'
loop_
_atom_site_label
_atom_site_fract_x
_atom_site_fract_y
_atom_site_fract_z
Na1 0.303 0.335 0.581
Na2 0.670 0.972 0.589
Na3 0.302 0.972 0.089
Na4 0.032 0.335 0.081
Na5 0.965 0.664 0.912
Na6 0.699 0.664 0.412
Na7 0.018 0.008 0.496
Na8 0.991 0.008 0.996
Na9 0.673 0.324 0.828
Na10 0.651 0.324 0.328
Na11 0.351 0.674 0.166
Na12 0.324 0.674 0.666
Mg1 0.013 0.006 0.349
Mg2 0.994 0.006 0.849
Mg3 0.993 0.987 0.655
Mg4 0.994 0.987 0.155
Mg5 0.676 0.336 0.689
Mg6 0.660 0.336 0.189
Mg7 0.668 0.330 0.980
Mg8 0.662 0.330 0.480
Mg9 0.337 0.661 0.016
Mg10 0.324 0.661 0.516
Ta1 0.336 0.665 0.311
Ta2 0.328 0.665 0.811
P1 0.296 0.005 0.249
P2 0.716 0.707 0.253
P3 0.991 0.707 0.753
P4 0.709 0.005 0.749
P5 0.040 0.368 0.920
P6 0.328 0.368 0.420
S1 0.996 0.290 0.250
S2 0.294 0.290 0.750
S3 0.959 0.335 0.583
S4 0.373 0.041 0.583
S5 0.670 0.628 0.582
S6 0.958 0.628 0.082
S7 0.668 0.041 0.083
S8 0.376 0.335 0.083
S9 0.625 0.667 0.918
S10 0.334 0.960 0.918
S11 0.626 0.960 0.418
'''
Later she went inside to look at the state of the coming Daycare Institution. She was impressed and suggested that they could also take children from the small one to two family settlements. That had spawn during spring and summertime, between “Ent” and Greg’s River. Armel and Danelle Mercier accepted as they could use the extra income.
Decided to start using lifetime rewards, previously did questions but will ship that completely. Now, from time to time I will do a random number 1-6 on sims having 5000+, if 4 comes out they pick a reward (again completely random) then I will post what reward came up. It was completely random that two got the same and that I hit 4 several times I “took” the Daycare job, it was not automated. Also reset Shina Nara seemingly stuck. Otherwise autonome